_What to do_
Print the lines further down up to the one that holds "0.235 0.314", that line included.

_Data_
/*
(one)
{
  "formula": "LiVOF3",
  "functional": "GGA+U",
  "state": "relaxed",
  "sg": "P2_12_12_1",
  "total_magnetization_mub_per_cell": 8.00,
  "lattice": [[7.521, 0.000, 0.000], [0.000, 8.848, 0.000], [0.000, 0.000, 8.864]],
  "species": ["Li", "Li", "Li", "Li", "Li", "Li", "Li", "Li", "V", "V", "V", "V", "V", "V", "V", "V", "O", "O", "O", "O", "O", "O", "O", "O", "F", "F", "F", "F", "F", "F", "F", "F", "F", "F", "F", "F", "F", "F", "F", "F", "F", "F", "F", "F", "F", "F", "F", "F"],
  "fractional_positions": [[0.000, 0.249, 0.001], [0.000, 0.749, 0.499], [0.126, 0.600, 0.850], [0.374, 0.400, 0.350], [0.500, 0.251, 0.999], [0.500, 0.751, 0.501], [0.626, 0.900, 0.150], [0.874, 0.100, 0.650], [0.143, 0.374, 0.623], [0.145, 0.119, 0.368], [0.355, 0.881, 0.868], [0.357, 0.626, 0.123], [0.643, 0.126, 0.377], [0.645, 0.381, 0.632], [0.855, 0.619, 0.132], [0.857, 0.874, 0.877], [0.129, 0.860, 0.875], [0.132, 0.626, 0.110], [0.368, 0.374, 0.610], [0.371, 0.140, 0.375], [0.629, 0.640, 0.125], [0.632, 0.874, 0.890], [0.868, 0.126, 0.390], [0.871, 0.360, 0.625], [0.108, 0.135, 0.160], [0.110, 0.591, 0.628], [0.118, 0.147, 0.601], [0.118, 0.909, 0.389], [0.120, 0.377, 0.840], [0.123, 0.353, 0.396], [0.377, 0.647, 0.896], [0.380, 0.623, 0.340], [0.382, 0.091, 0.889], [0.382, 0.853, 0.101], [0.390, 0.409, 0.128], [0.392, 0.865, 0.660], [0.608, 0.365, 0.840], [0.610, 0.909, 0.372], [0.618, 0.353, 0.399], [0.618, 0.591, 0.611], [0.620, 0.123, 0.160], [0.623, 0.147, 0.604], [0.877, 0.853, 0.104], [0.880, 0.877, 0.660], [0.882, 0.409, 0.111], [0.882, 0.647, 0.899], [0.890, 0.091, 0.872], [0.892, 0.635, 0.340]]
}

---

(two)
{
  "formula": "LiVOF3",
  "functional": "GGA+U",
  "state": "relaxed",
  "sg": "C2",
  "total_magnetization_mub_per_cell": 2.00,
  "lattice": [[6.615, -2.365, 0.000], [6.615, 2.365, 0.000], [-1.645, 0.000, 4.431]],
  "species": ["Li", "Li", "V", "V", "O", "O", "F", "F", "F", "F", "F", "F"],
  "fractional_positions": [[0.000, 0.000, 0.000], [0.504, 0.496, 0.500], [0.283, 0.331, 0.783], [0.669, 0.717, 0.217], [0.021, 0.579, 0.524], [0.421, 0.979, 0.476], [0.221, 0.617, 0.128], [0.383, 0.779, 0.872], [0.590, 0.015, 0.074], [0.625, 0.216, 0.718], [0.784, 0.375, 0.282], [0.985, 0.410, 0.926]]
}

---

Winner for stability: (two)


1.
Na10Zr4Sc4Si7S5O48 GGA-PBE optimized geometry; uncorrected energy = -7.191 eV per atom; formation enthalpy at 0 K = -2.884 eV/atom
1.0
18.259 0.009 0.027
-4.561 7.906 0.001
0.035 0.023 23.066
O Si S Na Zr Sc
144 21 15 30 12 12
Direct
0.487 0.791 0.811
0.154 0.473 0.473
0.185 0.490 0.359
0.565 0.646 0.080
0.563 0.488 0.857
0.608 0.030 0.301
0.579 0.693 0.472
0.916 0.322 0.243
0.272 0.690 0.970
0.917 0.818 0.589
0.257 0.644 0.577
0.001 0.827 0.413
0.082 0.457 0.972
0.083 0.482 0.256
0.259 0.635 0.865
0.490 0.180 0.588
0.989 0.794 0.810
0.927 0.362 0.925
0.929 0.306 0.529
0.592 0.161 0.089
0.178 0.507 0.079
0.236 0.156 0.529
0.988 0.797 0.089
0.914 0.514 0.744
0.772 0.691 0.969
0.897 0.973 0.411
0.153 0.846 0.256
0.006 0.180 0.912
0.066 0.644 0.360
0.846 0.144 0.030
0.578 0.186 0.412
0.259 0.688 0.255
0.685 0.880 0.860
0.016 0.824 0.695
0.517 0.828 0.697
0.579 0.464 0.972
0.592 0.970 0.198
0.241 0.351 0.143
0.065 0.488 0.577
0.081 0.980 0.912
0.594 0.037 0.589
0.417 0.040 0.804
0.759 0.827 0.754
0.416 0.322 0.243
0.158 0.465 0.756
0.398 0.814 0.912
0.761 0.637 0.865
0.908 0.024 0.809
0.500 0.826 0.412
0.428 0.545 0.031
0.172 0.842 0.580
0.900 0.984 0.692
0.231 0.152 0.243
0.231 0.306 0.744
0.939 0.524 0.136
0.439 0.524 0.136
0.584 0.684 0.755
0.321 0.512 0.924
0.678 0.508 0.080
0.905 0.828 0.194
0.018 0.204 0.197
0.518 0.203 0.197
0.852 0.549 0.525
0.748 0.647 0.578
0.740 0.352 0.145
0.093 0.213 0.699
0.092 0.970 0.198
0.410 0.795 0.587
0.593 0.215 0.696
0.760 0.880 0.366
0.912 0.790 0.309
0.818 0.500 0.637
0.679 0.855 0.578
0.487 0.797 0.089
0.086 0.693 0.754
0.826 0.134 0.423
0.735 0.314 0.030
0.752 0.359 0.421
0.987 0.183 0.311
0.235 0.314 0.027
0.929 0.545 0.031
0.427 0.490 0.424
*/

_Reply_
(one)
{
  "formula": "LiVOF3",
  "functional": "GGA+U",
  "state": "relaxed",
  "sg": "P2_12_12_1",
  "total_magnetization_mub_per_cell": 8.00,
  "lattice": [[7.521, 0.000, 0.000], [0.000, 8.848, 0.000], [0.000, 0.000, 8.864]],
  "species": ["Li", "Li", "Li", "Li", "Li", "Li", "Li", "Li", "V", "V", "V", "V", "V", "V", "V", "V", "O", "O", "O", "O", "O", "O", "O", "O", "F", "F", "F", "F", "F", "F", "F", "F", "F", "F", "F", "F", "F", "F", "F", "F", "F", "F", "F", "F", "F", "F", "F", "F"],
  "fractional_positions": [[0.000, 0.249, 0.001], [0.000, 0.749, 0.499], [0.126, 0.600, 0.850], [0.374, 0.400, 0.350], [0.500, 0.251, 0.999], [0.500, 0.751, 0.501], [0.626, 0.900, 0.150], [0.874, 0.100, 0.650], [0.143, 0.374, 0.623], [0.145, 0.119, 0.368], [0.355, 0.881, 0.868], [0.357, 0.626, 0.123], [0.643, 0.126, 0.377], [0.645, 0.381, 0.632], [0.855, 0.619, 0.132], [0.857, 0.874, 0.877], [0.129, 0.860, 0.875], [0.132, 0.626, 0.110], [0.368, 0.374, 0.610], [0.371, 0.140, 0.375], [0.629, 0.640, 0.125], [0.632, 0.874, 0.890], [0.868, 0.126, 0.390], [0.871, 0.360, 0.625], [0.108, 0.135, 0.160], [0.110, 0.591, 0.628], [0.118, 0.147, 0.601], [0.118, 0.909, 0.389], [0.120, 0.377, 0.840], [0.123, 0.353, 0.396], [0.377, 0.647, 0.896], [0.380, 0.623, 0.340], [0.382, 0.091, 0.889], [0.382, 0.853, 0.101], [0.390, 0.409, 0.128], [0.392, 0.865, 0.660], [0.608, 0.365, 0.840], [0.610, 0.909, 0.372], [0.618, 0.353, 0.399], [0.618, 0.591, 0.611], [0.620, 0.123, 0.160], [0.623, 0.147, 0.604], [0.877, 0.853, 0.104], [0.880, 0.877, 0.660], [0.882, 0.409, 0.111], [0.882, 0.647, 0.899], [0.890, 0.091, 0.872], [0.892, 0.635, 0.340]]
}

---

(two)
{
  "formula": "LiVOF3",
  "functional": "GGA+U",
  "state": "relaxed",
  "sg": "C2",
  "total_magnetization_mub_per_cell": 2.00,
  "lattice": [[6.615, -2.365, 0.000], [6.615, 2.365, 0.000], [-1.645, 0.000, 4.431]],
  "species": ["Li", "Li", "V", "V", "O", "O", "F", "F", "F", "F", "F", "F"],
  "fractional_positions": [[0.000, 0.000, 0.000], [0.504, 0.496, 0.500], [0.283, 0.331, 0.783], [0.669, 0.717, 0.217], [0.021, 0.579, 0.524], [0.421, 0.979, 0.476], [0.221, 0.617, 0.128], [0.383, 0.779, 0.872], [0.590, 0.015, 0.074], [0.625, 0.216, 0.718], [0.784, 0.375, 0.282], [0.985, 0.410, 0.926]]
}

---

Winner for stability: (two)


1.
Na10Zr4Sc4Si7S5O48 GGA-PBE optimized geometry; uncorrected energy = -7.191 eV per atom; formation enthalpy at 0 K = -2.884 eV/atom
1.0
18.259 0.009 0.027
-4.561 7.906 0.001
0.035 0.023 23.066
O Si S Na Zr Sc
144 21 15 30 12 12
Direct
0.487 0.791 0.811
0.154 0.473 0.473
0.185 0.490 0.359
0.565 0.646 0.080
0.563 0.488 0.857
0.608 0.030 0.301
0.579 0.693 0.472
0.916 0.322 0.243
0.272 0.690 0.970
0.917 0.818 0.589
0.257 0.644 0.577
0.001 0.827 0.413
0.082 0.457 0.972
0.083 0.482 0.256
0.259 0.635 0.865
0.490 0.180 0.588
0.989 0.794 0.810
0.927 0.362 0.925
0.929 0.306 0.529
0.592 0.161 0.089
0.178 0.507 0.079
0.236 0.156 0.529
0.988 0.797 0.089
0.914 0.514 0.744
0.772 0.691 0.969
0.897 0.973 0.411
0.153 0.846 0.256
0.006 0.180 0.912
0.066 0.644 0.360
0.846 0.144 0.030
0.578 0.186 0.412
0.259 0.688 0.255
0.685 0.880 0.860
0.016 0.824 0.695
0.517 0.828 0.697
0.579 0.464 0.972
0.592 0.970 0.198
0.241 0.351 0.143
0.065 0.488 0.577
0.081 0.980 0.912
0.594 0.037 0.589
0.417 0.040 0.804
0.759 0.827 0.754
0.416 0.322 0.243
0.158 0.465 0.756
0.398 0.814 0.912
0.761 0.637 0.865
0.908 0.024 0.809
0.500 0.826 0.412
0.428 0.545 0.031
0.172 0.842 0.580
0.900 0.984 0.692
0.231 0.152 0.243
0.231 0.306 0.744
0.939 0.524 0.136
0.439 0.524 0.136
0.584 0.684 0.755
0.321 0.512 0.924
0.678 0.508 0.080
0.905 0.828 0.194
0.018 0.204 0.197
0.518 0.203 0.197
0.852 0.549 0.525
0.748 0.647 0.578
0.740 0.352 0.145
0.093 0.213 0.699
0.092 0.970 0.198
0.410 0.795 0.587
0.593 0.215 0.696
0.760 0.880 0.366
0.912 0.790 0.309
0.818 0.500 0.637
0.679 0.855 0.578
0.487 0.797 0.089
0.086 0.693 0.754
0.826 0.134 0.423
0.735 0.314 0.030
0.752 0.359 0.421
0.987 0.183 0.311
0.235 0.314 0.027